+++
Entry from OMol25: C14H40AgN5O5 as an isolated structure at a distorted geometry (the ωB97M-V functional and the def2-TZVPD basis).

Element x y z (Å)
Ag: -0.175 1.056 -0.108
C: 0.251 -1.693 -2.662
O: 0.066 -0.542 -1.899
H: 0.453 -2.620 -2.100
H: -0.575 -1.990 -3.332
H: 1.119 -1.434 -3.288
C: -1.919 4.428 -0.320
C: -2.687 3.195 0.090
C: -3.167 2.372 -1.096
O: -4.014 1.345 -0.638
C: -4.805 0.823 -1.678
N: -1.881 2.346 0.963
H: -2.433 5.053 -1.062
H: -1.041 4.093 -0.880
H: -1.761 5.176 0.457
H: -3.560 3.545 0.661
H: -2.286 1.985 -1.628
H: -3.649 3.060 -1.801
H: -5.435 0.070 -1.194
H: -4.233 0.236 -2.405
H: -5.435 1.589 -2.134
H: -1.769 2.899 1.809
H: -2.324 1.479 1.254
C: 3.060 3.635 -0.723
C: 2.913 2.112 -0.720
C: 2.719 1.587 0.715
O: 1.627 2.290 1.357
C: 1.222 1.702 2.577
N: 1.748 1.813 -1.557
H: 3.929 3.967 -0.147
H: 2.196 4.044 -0.202
H: 3.244 4.025 -1.723
H: 3.759 1.595 -1.185
H: 3.622 1.755 1.312
H: 2.511 0.517 0.815
H: 0.934 0.653 2.485
H: 0.399 2.241 3.049
H: 2.034 1.845 3.300
H: 1.798 2.361 -2.399
H: 1.388 0.864 -1.615
C: 0.371 -4.135 0.564
C: 1.251 -3.054 1.246
C: 2.709 -3.388 0.878
O: 3.088 -4.554 1.583
C: 4.442 -4.884 1.429
N: 0.838 -1.755 0.798
H: 0.480 -5.073 1.117
H: 0.585 -4.235 -0.498
H: -0.701 -3.918 0.610
H: 1.165 -3.091 2.333
H: 3.338 -2.539 1.167
H: 2.799 -3.504 -0.207
H: 4.660 -5.081 0.372
H: 4.692 -5.778 1.996
H: 5.155 -4.109 1.731
H: 0.809 -1.578 -0.207
H: -0.095 -1.516 1.107
C: -2.591 -1.214 0.533
O: -1.858 -0.452 1.182
N: -3.749 -1.737 1.012
N: -2.321 -1.451 -0.778
H: -4.089 -1.148 1.761
H: -4.423 -2.196 0.431
H: -1.408 -1.153 -1.166
H: -2.991 -1.936 -1.345

- M: 466.4 g/mol
- E_tot: -36852.3750 eV
- HOMO: -7.72 eV
- ΔE to the lowest compared entry with this formula, charge and spin: 10.2 kcal per mole
- HOMO-LUMO gap: 8.33 eV

* * * * *

Density functional theory data (ωB97M-V with the def2-TZVPD basis set) for 6 unconnected molecules or ions with the total composition C30H77N5O11 at a distorted geometry.

Values from the calculation:
Max |F|, eV/Å: 4.77
LUMO energy (spin up / spin down), eV: -2.91 / -7.96
Highest occupied orbital energy (spin up / spin down), Eh: -0.361 / -0.361
Gap between HOMO and LUMO (spin up / spin down), eV: 6.909 / 1.849

The geometry in ORCA input format:
```
! RIJCOSX wB97M-V def2-TZVPD def2/J DEFGRID3
* xyz 1 2
C -12.8853 -0.0124 -11.6238
O -12.9682 -1.1249 -12.4825
C -13.1298 -0.8442 -13.8628
C -13.1416 -2.0918 -14.8257
N -13.2932 -1.6610 -16.2249
C -13.5521 -2.8287 -17.0781
C -12.2215 -3.4716 -17.7265
O -11.2566 -2.5321 -18.3258
C -11.7786 -2.0246 -19.5493
H -13.6122 0.7744 -11.8257
H -11.9347 0.5202 -11.5959
H -13.0627 -0.4183 -10.6279
H -12.3465 -0.2205 -14.2936
H -13.9875 -0.1858 -14.0006
H -13.8690 -2.7878 -14.4079
H -12.1556 -2.5303 -14.6717
H -12.4709 -1.2065 -16.5955
H -14.1653 -2.7393 -17.9748
H -13.9734 -3.7050 -16.5855
H -12.4270 -4.1527 -18.5523
H -11.7037 -3.9664 -16.9048
H -12.2674 -2.7057 -20.2459
H -10.8798 -1.5875 -19.9842
H -12.4357 -1.1702 -19.3877
C -8.7915 -0.3209 -11.7081
O -8.1309 0.3344 -10.7097
C -8.4087 -0.1449 -9.3863
C -8.0470 0.8703 -8.4218
N -8.2768 0.5917 -6.9983
C -9.6412 0.4487 -6.6866
C -9.9277 0.0081 -5.2298
O -11.3181 0.1101 -4.8510
C -11.7640 1.5125 -4.5749
H -9.8499 -0.5115 -11.5308
H -8.4065 -1.2860 -12.0374
H -8.7715 0.3631 -12.5565
H -7.9779 -1.1274 -9.1935
H -9.4840 -0.2953 -9.2905
H -8.3545 1.8885 -8.6601
H -6.9578 0.8434 -8.3904
H -7.8977 1.2582 -6.3409
H -10.0577 -0.3044 -7.3556
H -10.3958 1.2175 -6.8528
H -9.2757 0.6474 -4.6346
H -9.4485 -0.9639 -5.1131
H -12.8178 1.5720 -4.8471
H -11.2125 2.2786 -5.1200
H -11.6839 1.5481 -3.4885
C -15.4666 2.2853 -12.2618
O -14.8996 2.3926 -10.9464
C -14.1573 3.5823 -10.6368
C -14.7075 4.9932 -10.8778
N -13.6974 5.9662 -10.4600
C -13.8302 7.3724 -10.8902
C -13.7893 7.5920 -12.3910
O -14.8851 8.3899 -12.9575
C -15.3278 9.4954 -12.1961
H -15.9744 3.2103 -12.5350
H -16.2563 1.5373 -12.1921
H -14.7137 2.1475 -13.0379
H -13.2143 3.5099 -11.1787
H -13.9289 3.5483 -9.5716
H -15.6009 5.0931 -10.2613
+++
Quote the whole of the notes further above character by character.
Entry from OMol25: C14H40AgN5O5 as an isolated structure at a distorted geometry (the ωB97M-V functional and the def2-TZVPD basis).

Element x y z (Å)
Ag: -0.175 1.056 -0.108
C: 0.251 -1.693 -2.662
O: 0.066 -0.542 -1.899
H: 0.453 -2.620 -2.100
H: -0.575 -1.990 -3.332
H: 1.119 -1.434 -3.288
C: -1.919 4.428 -0.320
C: -2.687 3.195 0.090
C: -3.167 2.372 -1.096
O: -4.014 1.345 -0.638
C: -4.805 0.823 -1.678
N: -1.881 2.346 0.963
H: -2.433 5.053 -1.062
H: -1.041 4.093 -0.880
H: -1.761 5.176 0.457
H: -3.560 3.545 0.661
H: -2.286 1.985 -1.628
H: -3.649 3.060 -1.801
H: -5.435 0.070 -1.194
H: -4.233 0.236 -2.405
H: -5.435 1.589 -2.134
H: -1.769 2.899 1.809
H: -2.324 1.479 1.254
C: 3.060 3.635 -0.723
C: 2.913 2.112 -0.720
C: 2.719 1.587 0.715
O: 1.627 2.290 1.357
C: 1.222 1.702 2.577
N: 1.748 1.813 -1.557
H: 3.929 3.967 -0.147
H: 2.196 4.044 -0.202
H: 3.244 4.025 -1.723
H: 3.759 1.595 -1.185
H: 3.622 1.755 1.312
H: 2.511 0.517 0.815
H: 0.934 0.653 2.485
H: 0.399 2.241 3.049
H: 2.034 1.845 3.300
H: 1.798 2.361 -2.399
H: 1.388 0.864 -1.615
C: 0.371 -4.135 0.564
C: 1.251 -3.054 1.246
C: 2.709 -3.388 0.878
O: 3.088 -4.554 1.583
C: 4.442 -4.884 1.429
N: 0.838 -1.755 0.798
H: 0.480 -5.073 1.117
H: 0.585 -4.235 -0.498
H: -0.701 -3.918 0.610
H: 1.165 -3.091 2.333
H: 3.338 -2.539 1.167
H: 2.799 -3.504 -0.207
H: 4.660 -5.081 0.372
H: 4.692 -5.778 1.996
H: 5.155 -4.109 1.731
H: 0.809 -1.578 -0.207
H: -0.095 -1.516 1.107
C: -2.591 -1.214 0.533
O: -1.858 -0.452 1.182
N: -3.749 -1.737 1.012
N: -2.321 -1.451 -0.778
H: -4.089 -1.148 1.761
H: -4.423 -2.196 0.431
H: -1.408 -1.153 -1.166
H: -2.991 -1.936 -1.345

- M: 466.4 g/mol
- E_tot: -36852.3750 eV
- HOMO: -7.72 eV
- ΔE to the lowest compared entry with this formula, charge and spin: 10.2 kcal per mole
- HOMO-LUMO gap: 8.33 eV

* * * * *

Density functional theory data (ωB97M-V with the def2-TZVPD basis set) for 6 unconnected molecules or ions with the total composition C30H77N5O11 at a distorted geometry.

Values from the calculation:
Max |F|, eV/Å: 4.77
LUMO energy (spin up / spin down), eV: -2.91 / -7.96
Highest occupied orbital energy (spin up / spin down), Eh: -0.361 / -0.361
Gap between HOMO and LUMO (spin up / spin down), eV: 6.909 / 1.849

The geometry in ORCA input format:
```
! RIJCOSX wB97M-V def2-TZVPD def2/J DEFGRID3
* xyz 1 2
C -12.8853 -0.0124 -11.6238
O -12.9682 -1.1249 -12.4825
C -13.1298 -0.8442 -13.8628
C -13.1416 -2.0918 -14.8257
N -13.2932 -1.6610 -16.2249
C -13.5521 -2.8287 -17.0781
C -12.2215 -3.4716 -17.7265
O -11.2566 -2.5321 -18.3258
C -11.7786 -2.0246 -19.5493
H -13.6122 0.7744 -11.8257
H -11.9347 0.5202 -11.5959
H -13.0627 -0.4183 -10.6279
H -12.3465 -0.2205 -14.2936
H -13.9875 -0.1858 -14.0006
H -13.8690 -2.7878 -14.4079
H -12.1556 -2.5303 -14.6717
H -12.4709 -1.2065 -16.5955
H -14.1653 -2.7393 -17.9748
H -13.9734 -3.7050 -16.5855
H -12.4270 -4.1527 -18.5523
H -11.7037 -3.9664 -16.9048
H -12.2674 -2.7057 -20.2459
H -10.8798 -1.5875 -19.9842
H -12.4357 -1.1702 -19.3877
C -8.7915 -0.3209 -11.7081
O -8.1309 0.3344 -10.7097
C -8.4087 -0.1449 -9.3863
C -8.0470 0.8703 -8.4218
N -8.2768 0.5917 -6.9983
C -9.6412 0.4487 -6.6866
C -9.9277 0.0081 -5.2298
O -11.3181 0.1101 -4.8510
C -11.7640 1.5125 -4.5749
H -9.8499 -0.5115 -11.5308
H -8.4065 -1.2860 -12.0374
H -8.7715 0.3631 -12.5565
H -7.9779 -1.1274 -9.1935
H -9.4840 -0.2953 -9.2905
H -8.3545 1.8885 -8.6601
H -6.9578 0.8434 -8.3904
H -7.8977 1.2582 -6.3409
H -10.0577 -0.3044 -7.3556
H -10.3958 1.2175 -6.8528
H -9.2757 0.6474 -4.6346
H -9.4485 -0.9639 -5.1131
H -12.8178 1.5720 -4.8471
H -11.2125 2.2786 -5.1200
H -11.6839 1.5481 -3.4885
C -15.4666 2.2853 -12.2618
O -14.8996 2.3926 -10.9464
C -14.1573 3.5823 -10.6368
C -14.7075 4.9932 -10.8778
N -13.6974 5.9662 -10.4600
C -13.8302 7.3724 -10.8902
C -13.7893 7.5920 -12.3910
O -14.8851 8.3899 -12.9575
C -15.3278 9.4954 -12.1961
H -15.9744 3.2103 -12.5350
H -16.2563 1.5373 -12.1921
H -14.7137 2.1475 -13.0379
H -13.2143 3.5099 -11.1787
H -13.9289 3.5483 -9.5716
H -15.6009 5.0931 -10.2613